
# Group Policy - Registry Policy parser module
# Copyright (c) Microsoft Corporation, 2016

data LocalizedData
    # culture="en-US"
    ConvertFrom-StringData @'
    InvalidHeader = File '{0}' has an invalid header.
    InvalidVersion = File '{0}' has an invalid version. It should be 1.
    InvalidFormatBracket = File '{0}' has an invalid format. A [ or ] was expected at location {1}.
    InvalidFormatSemicolon = File '{0}' has an invalid format. A ; was expected at location {1}.
    OnlyCreatingKey = Some values are null. Only the registry key is created.
    InvalidPath = Path {0} doesn't point to an existing registry key/property.
    InternalError = Internal error while creating a registry entry for {0}
    InvalidIntegerSize = Invalid size for an integer. Must be less than or equal to 8.


Import-LocalizedData  LocalizedData -filename GPRegistryPolicyParser.Strings.psd1

$script:REGFILE_SIGNATURE = 0x67655250 # PRef
$script:REGISTRY_FILE_VERSION = 0x00000001 #Initially defined as 1, then incremented each time the file format is changed.

$script:DefaultEntries = @(

if ( $PSVersionTable.PSVersion.Major -le "5")
        $byteParam = @{Encoding = "Byte"}
    } elseif ($PSVersionTable.PSVersion.Major -gt "5")
        $ByteParam = @{AsByteStream = $True}

Enum RegType {
    REG_NONE                       = 0    # No value type
    REG_SZ                         = 1    # Unicode null terminated string
    REG_EXPAND_SZ                  = 2    # Unicode null terminated string (with environmental variable references)
    REG_BINARY                     = 3    # Free form binary
    REG_DWORD                      = 4    # 32-bit number
    REG_DWORD_LITTLE_ENDIAN        = 4    # 32-bit number (same as REG_DWORD)
    REG_DWORD_BIG_ENDIAN           = 5    # 32-bit number
    REG_LINK                       = 6    # Symbolic link (Unicode)
    REG_MULTI_SZ                   = 7    # Multiple Unicode strings, delimited by \0, terminated by \0\0
    REG_RESOURCE_LIST              = 8  # Resource list in resource map
    REG_FULL_RESOURCE_DESCRIPTOR   = 9  # Resource list in hardware description
    REG_QWORD                      = 11 # 64-bit number
    REG_QWORD_LITTLE_ENDIAN        = 11 # 64-bit number (same as REG_QWORD)

Class GPRegistryPolicy
    [string]  $KeyName
    [string]  $ValueName
    [RegType] $ValueType
    [string]  $ValueLength
    [object]  $ValueData

        $this.KeyName     = $Null
        $this.ValueName   = $Null
        $this.ValueType   = [RegType]::REG_NONE
        $this.ValueLength = 0
        $this.ValueData   = $Null

            [string]  $KeyName,
            [string]  $ValueName,
            [RegType] $ValueType,
            [string]  $ValueLength,
            [object]  $ValueData
        $this.KeyName     = $KeyName
        $this.ValueName   = $ValueName
        $this.ValueType   = $ValueType
        $this.ValueLength = $ValueLength
        $this.ValueData   = $ValueData

    [string] GetRegTypeString()
        [string] $Result = ""

        switch ($this.ValueType)
            ([RegType]::REG_SZ)        { $Result = "String" }
            ([RegType]::REG_EXPAND_SZ) { $Result = "ExpandString" }
            ([RegType]::REG_BINARY)    { $Result = "Binary" }
            ([RegType]::REG_DWORD)     { $Result = "DWord" }
            ([RegType]::REG_MULTI_SZ)  { $Result = "MultiString" }
            ([RegType]::REG_QWORD)     { $Result = "QWord" }
            default                    { $Result = "" }

        return $Result

    static [RegType] GetRegTypeFromString( [string] $Type )
        $Result = [RegType]::REG_NONE

        switch ($Type)
            "String"       { $Result = [RegType]::REG_SZ }
            "ExpandString" { $Result = [RegType]::REG_EXPAND_SZ }
            "Binary"       { $Result = [RegType]::REG_BINARY }
            "DWord"        { $Result = [RegType]::REG_DWORD }
            "MultiString"  { $Result = [RegType]::REG_MULTI_SZ }
            "QWord"        { $Result = [RegType]::REG_QWORD }
            default        { $Result = [RegType]::REG_NONE }

        return $Result

Function New-GPRegistryPolicy
    param (
        $valueName = $null,
        $valueType = [RegType]::REG_NONE,
        $valueLength = $null,
        $valueData = $null

    $Policy = [GPRegistryPolicy]::new($keyName, $valueName, $valueType, $valueLength, $valueData)

    return $Policy;

Function Get-RegType
    param (
        [Parameter(Mandatory = $true)]

    return [GPRegistryPolicy]::GetRegTypeFromString($Type)

Reads and parses a .pol file.
Reads a .pol file, parses it and returns an array of Group Policy registry settings.
Specifies the path to the .pol file.
C:\PS> Parse-PolFile -Path "C:\Registry.pol"

Function Parse-PolFile
    param (

    [Array] $RegistryPolicies = @()
    $index = 0

    [string] $policyContents = Get-Content $Path -Raw
    [byte[]] $policyContentInBytes = Get-Content $Path -Raw @byteParam

    # 4 bytes are the signature PReg
    $signature = [System.Text.Encoding]::ASCII.GetString($policyContents[0..3])
    $index += 4
    Assert ($signature -eq 'PReg') ($LocalizedData.InvalidHeader -f $Path)

    # 4 bytes are the version
    $version = [System.BitConverter]::ToInt32($policyContentInBytes, 4)
    $index += 4
    Assert ($version -eq 1) ($LocalizedData.InvalidVersion -f $Path)

    # Start processing at byte 8
    while($index -lt $policyContents.Length - 2)
        [string]$keyName = $null
        [string]$valueName = $null
        [int]$valueType = $null
        [int]$valueLength = $null

        [object]$value = $null

        # Next UNICODE character should be a [
        $leftbracket = [System.BitConverter]::ToChar($policyContentInBytes, $index)
        Assert ($leftbracket -eq '[') "Missing the openning bracket"

        # Next UNICODE string will continue until the ; less the null terminator
        $semicolon = $policyContents.IndexOf(";", $index)
        Assert ($semicolon -ge 0) "Failed to locate the semicolon after key name."
        $keyName = [System.Text.Encoding]::UNICODE.GetString($policyContents[($index)..($semicolon-3)]) # -3 to exclude the null termination and ';' characters
        $index = $semicolon + 2

        # Next UNICODE string will continue until the ; less the null terminator
        $semicolon = $policyContents.IndexOf(";", $index)
        Assert ($semicolon -ge 0) "Failed to locate the semicolon after value name."
        $valueName = [System.Text.Encoding]::UNICODE.GetString($policyContents[($index)..($semicolon-3)]) # -3 to exclude the null termination and ';' characters
        $index = $semicolon + 2

        # Next DWORD will continue until the ;
        $semicolon = $index + 4 # DWORD Size
        Assert ([System.BitConverter]::ToChar($policyContentInBytes, $semicolon) -eq ';') "Failed to locate the semicolon after value type."
        $valueType = [System.BitConverter]::ToInt32($policyContentInBytes, $index)
        $index=$semicolon + 2 # Skip ';'

        # Next DWORD will continue until the ;
        $semicolon = $index + 4 # DWORD Size
        Assert ([System.BitConverter]::ToChar($policyContentInBytes, $semicolon) -eq ';') "Failed to locate the semicolon after value length."
        $valueLength = Convert-StringToInt -ValueString $policyContentInBytes[$index..($index+3)]
        $index=$semicolon + 2 # Skip ';'

        if ($valueLength -gt 0)
            # String types less the null terminator for REG_SZ and REG_EXPAND_SZ
            # REG_SZ: string type (ASCII)
            if($valueType -eq [RegType]::REG_SZ)
                [string] $value = [System.Text.Encoding]::UNICODE.GetString($policyContents[($index)..($index+$valueLength-3)]) # -3 to exclude the null termination and ']' characters
                $index += $valueLength

            # REG_EXPAND_SZ: string, includes %ENVVAR% (expanded by caller) (ASCII)
            if($valueType -eq [RegType]::REG_EXPAND_SZ)
                [string] $value = [System.Text.Encoding]::UNICODE.GetString($policyContents[($index)..($index+$valueLength-3)]) # -3 to exclude the null termination and ']' characters
                $index += $valueLength

            # For REG_MULTI_SZ leave the last null terminator
            # REG_MULTI_SZ: multiple strings, delimited by \0, terminated by \0\0 (ASCII)
            if($valueType -eq [RegType]::REG_MULTI_SZ)
                [string] $value = [System.Text.Encoding]::UNICODE.GetString($policyContents[($index)..($index+$valueLength-3)])
                $index += $valueLength

            # REG_BINARY: binary values
            if($valueType -eq [RegType]::REG_BINARY)
                [byte[]] $value = $policyContentInBytes[($index)..($index+$valueLength-1)]
                $index += $valueLength

        # DWORD: (4 bytes) in little endian format
        if($valueType -eq [RegType]::REG_DWORD)
            $value = Convert-StringToInt -ValueString $policyContentInBytes[$index..($index+3)]
            $index += 4

        # QWORD: (8 bytes) in little endian format
        if($valueType -eq [RegType]::REG_QWORD)
            $value = Convert-StringToInt -ValueString $policyContentInBytes[$index..($index+7)]
            $index += 8

        # Next UNICODE character should be a ]
        $rightbracket = $policyContents.IndexOf("]", $index) # Skip over null data value if one exists
        Assert ($rightbracket -ge 0) "Missing the closing bracket."
        $index = $rightbracket + 2

        $entry = New-GPRegistryPolicy $keyName $valueName $valueType $valueLength $value

        $RegistryPolicies += $entry

    return $RegistryPolicies

Reads registry policies from a list of entries.
Reads registry policies from a list of entries and returns an array of GPRegistryPolicies.
Specifies the division from which the registry entries will be read.
C:\PS> Read-RegistryPolicies -Division "LocalMachine"
C:\PS> Read-RegistryPolicies -Division "LocalMachine" -Entries @('Software\Policies\Microsoft\Windows', 'Software\Policies\Microsoft\WindowsFirewall')

Function Read-RegistryPolicies
    param (

        [ValidateSet("LocalMachine", "CurrentUser", "Users")]
        $Division = "LocalMachine",
        $Entries = $script:DefaultEntries

    [Array] $RegistryPolicies = @()

    switch ($Division) 
        'LocalMachine' { $Hive = [Microsoft.Win32.Registry]::LocalMachine } 
        'CurrentUser'  { $Hive = [Microsoft.Win32.Registry]::CurrentUser } 
        'Users'        { $Hive = [Microsoft.Win32.Registry]::Users } 

    foreach ($entry in $Entries)
        #if (Test-Path -Path $entry)
        if (IsRegistryKey -Path $entry -Hive $Hive)
            # $entry is a key.
            $Key = $Hive.OpenSubKey($entry)

┌──
C42H37AlN4O5PS as an isolated structure at a distorted geometry, computed with ωB97M-V/def2-TZVPD.

Results
* E: -87063.953 eV
* charge: +1
* HOMO energy: -8.88 eV

```
91
C42H37AlN4O5PS | OMol25 | ωB97M-V/def2-TZVPD
C 16.128 12.497 10.225
C 13.121 9.552 7.929
H 12.212 15.112 9.083
C 9.014 12.138 9.113
O 9.624 12.732 16.084
H 15.372 8.229 14.301
Al 14.177 12.588 10.571
H 11.481 12.534 12.203
H 16.221 12.094 12.940
H 10.375 10.300 17.608
H 17.547 15.893 12.482
N 14.751 14.649 10.986
H 10.148 14.023 9.052
C 13.569 7.761 9.548
H 13.420 13.943 16.533
C 12.024 9.615 13.004
O 17.035 12.631 15.694
C 16.005 14.728 11.328
C 15.238 12.338 13.358
C 14.448 8.559 13.846
C 13.313 8.580 14.690
H 11.517 14.030 13.098
C 16.472 15.831 12.196
H 11.102 17.660 13.215
C 13.166 17.250 13.096
H 8.100 12.570 8.726
C 15.583 16.613 12.821
C 18.202 13.621 10.892
C 18.282 11.470 9.876
H 8.318 12.213 18.875
C 11.337 12.382 9.731
H 12.071 13.922 15.437
H 13.195 8.970 5.879
H 13.854 5.813 8.743
C 11.392 10.997 10.093
C 12.831 13.291 15.891
C 13.675 6.861 8.544
H 15.119 9.148 11.921
C 18.959 12.551 10.448
H 12.113 11.299 16.049
H 11.101 12.545 14.061
H 12.772 11.960 17.583
H 8.009 10.873 17.735
O 12.128 14.692 9.911
O 15.329 12.530 16.954
H 15.881 17.486 13.391
H 10.845 11.260 19.017
C 15.009 12.635 14.650
C 13.076 9.583 12.125
N 15.859 12.589 15.870
C 12.114 9.123 14.279
C 14.278 9.108 12.560
C 10.254 10.222 9.883
N 14.143 12.508 12.619
C 14.127 16.414 12.544
C 13.302 8.666 6.910
C 13.818 15.510 11.531
H 11.243 9.149 14.922
C 16.921 11.444 9.757
H 16.399 10.589 9.302
C 10.145 11.152 18.193
C 9.032 10.780 9.504
H 10.331 9.145 10.148
C 12.478 15.453 11.071
C 11.851 17.074 12.713
C 13.259 9.098 9.252
N 13.628 12.930 14.712
C 11.683 12.938 13.180
C 8.680 11.210 18.569
O 10.508 13.834 18.070
C 12.226 12.192 16.711
H 8.561 10.463 19.335
H 13.387 17.922 13.891
H 13.474 8.236 15.717
C 16.810 13.554 10.762
P 13.030 10.340 10.507
H 18.904 10.647 9.511
C 12.512 13.179 9.865
H 13.681 7.481 10.593
H 20.035 12.492 10.601
S 10.537 12.673 17.215
C 11.486 16.168 11.696
H 13.651 6.644 6.361
H 11.037 10.021 12.749
H 18.674 14.568 11.254
└──
So much for the records of molecules

            # Add the key itself
            $rp = New-GPRegistryPolicy -keyName $entry
            $RegistryPolicies += $rp

            # Check default value
            if ($Key.GetValue(''))
                $info = Get-RegKeyInfo -RegKey $Key -ValueName ''
                $rp = New-GPRegistryPolicy -keyName $entry -valueName '' -valueType $info.Type -valueLength $info.Size -valueData $info.Data
                $RegistryPolicies += $rp
            if ($Key.ValueCount -gt 0)
                # Copy values under the key
                $ValueNames = $Key.GetValueNames()
                foreach($value in $ValueNames)
                    if ([System.String]::IsNullOrEmpty($value))
                        $rp = New-GPRegistryPolicy -keyName $entry
                        $info = Get-RegKeyInfo -RegKey $Key -ValueName $value
                        $rp = New-GPRegistryPolicy -keyName $entry -valueName $value -valueType $info.Type -valueLength $info.Size -valueData $info.Data
                    $RegistryPolicies += $rp

            if ($Key.SubKeyCount -gt 0)
                # Copy subkeys recursively
                $SubKeyNames = $Key.GetSubKeyNames()
                $newEntries = @()

                foreach($subkey in $SubKeyNames)
                    $newEntry = Join-Path -Path $entry -ChildPath $subkey
                    $newEntries += ,$newEntry

                $RegistryPolicies += Read-RegistryPolicies -Entries $newEntries -Division $Division
            $Tokens = $entry.Split('\')
            $Property = $Tokens[-1]
            $ParentKey = $Tokens[0..($Tokens.Count-2)] -join '\'
            $NoSuchKeyOrProperty = $false
            if (IsRegistryKey -Path $ParentKey -Hive $Hive)
                # $entry is a property.
                # [key;value;type;size;data]
                $Key = $Hive.OpenSubKey($ParentKey)

                if ($Key.GetValueNames() -icontains $Property)
                    $info = Get-RegKeyInfo -RegKey $Key -ValueName $Property
                    $rp = [GPRegistryPolicy]::new($ParentKey, $Property, $info.Type, $info.Size, $info.Data)
                    $RegistryPolicies += $rp
                    $NoSuchKeyOrProperty = $true
                $NoSuchKeyOrProperty = $true

            if ( $NoSuchKeyOrProperty -and @('Continue', 'SilentlyContinue', 'Ignore' ) -inotcontains $ErrorActionPreference)
                # $entry points to a key/property that doesn't exist.
                $NoSuchKeyOrProperty = $true
                Fail -ErrorMessage ($LocalizedData.InvalidPath -f $entry)

    return $RegistryPolicies

Creates a .pol file entry byte array from a GPRegistryPolicy instance.
Creates a .pol file entry byte array from a GPRegistryPolicy instance. This entry can be written
in a .pol file later.
.PARAMETER RegistryPolicy
Specifies the registry policy entry.

Function Create-RegistrySettingsEntry
    param (
        [Parameter(Mandatory = $true)]
    # Entry format: [key;value;type;size;data]
    [Byte[]] $Entry = @()
    $Entry += [System.Text.Encoding]::Unicode.GetBytes('[') # Openning bracket
    $Entry += [System.Text.Encoding]::Unicode.GetBytes($RP.KeyName + "`0")

    $Entry += [System.Text.Encoding]::Unicode.GetBytes(';') # semicolon as delimiter

    $Entry += [System.Text.Encoding]::Unicode.GetBytes($RP.ValueName + "`0")

    $Entry += [System.Text.Encoding]::Unicode.GetBytes(';') # semicolon as delimiter

    $Entry += [System.BitConverter]::GetBytes([Int32]$RP.ValueType)

    $Entry += [System.Text.Encoding]::Unicode.GetBytes(';') # semicolon as delimiter

    #Assert $type ($LocalizedData.InternalError -f $key)
    # Get data bytes then compute byte size based on data and type
    switch ($RP.ValueType)
        { @([RegType]::REG_SZ, [RegType]::REG_EXPAND_SZ, [RegType]::REG_MULTI_SZ) -contains $_ }
                $dataBytes = [System.Text.Encoding]::Unicode.GetBytes($RP.ValueData + "`0")
                $dataSize = $dataBytes.Count

                $dataBytes = [System.Text.Encoding]::Unicode.GetBytes($RP.ValueData)
                $dataSize = $dataBytes.Count

                $dataBytes = [System.BitConverter]::GetBytes([Int32]$RP.ValueData)
                $dataSize = 4

                $dataBytes = [System.BitConverter]::GetBytes([Int64]$RP.ValueData)
                $dataSize = 8

                $dataBytes = [System.Text.Encoding]::Unicode.GetBytes("")
                $dataSize = 0

    #Assert $type ($LocalizedData.InternalError -f $key)
    $Entry += [System.BitConverter]::GetBytes($dataSize)

    $Entry += [System.Text.Encoding]::Unicode.GetBytes(';') # semicolon as delimiter

    #Assert $type ($LocalizedData.InternalError -f $key)
    $Entry += $dataBytes

    $Entry += [System.Text.Encoding]::Unicode.GetBytes(']') # Closing bracket

    return $Entry

Appends an array of registry policy entries to a file.
Appends an array of registry policy entries to a file.
.PARAMETER RegistryPolicies
An array of registry policy entries.
Path to a file (.pol extension)

Function Append-RegistryPolicies
    param (
        [Parameter(Mandatory = $true)]

        [Parameter(Mandatory = $true)]
    foreach ($rp in $RegistryPolicies)
        [Byte[]] $Entry = Create-RegistrySettingsEntry -RegistryPolicy $rp
        $Entry | Add-Content -Path $Path @ByteParam

Function Assert
    param (


    if (!$Condition) 
        Fail -ErrorMessage $ErrorMessage;

Function Fail
    param (
    throw $ErrorMessage

Creates a file and initializes it with Group Policy Registry file format signature.
Creates a file and initializes it with Group Policy Registry file format signature.
Path to a file (.pol extension)

Function Create-GPRegistryPolicyFile
    param (

    $null = Remove-Item -Path $Path -Force -Verbose -ErrorAction SilentlyContinue

    New-Item -Path $Path -Force -Verbose -ErrorAction Stop | Out-Null

    [System.BitConverter]::GetBytes($script:REGFILE_SIGNATURE) | Add-Content -Path $Path @ByteParam
    [System.BitConverter]::GetBytes($script:REGISTRY_FILE_VERSION) | Add-Content -Path $Path @ByteParam

Returns the type, size and data values of a given registry key.
Returns the type, size and data values of a given registry key.
Registry Key
The name of the Value under the given registry key

Function Get-RegKeyInfo
    param (
        [Parameter(Mandatory = $true)]

        [Parameter(Mandatory = $true)]


    switch ($RegKey.GetValueKind($ValueName))
        "String"       {
            $Type = $RegKey.GetValueKind($ValueName)
            $Data = $RegKey.GetValue($ValueName)
            $Size = $Data.Length

        "ExpandString"       {
            $Type = $RegKey.GetValueKind($ValueName)
            $Data = $RegKey.GetValue($ValueName,$null,[Microsoft.Win32.RegistryValueOptions]::DoNotExpandEnvironmentNames)
            $Size = $Data.Length

        "Binary"       {
            $Type = $RegKey.GetValueKind($ValueName)
            $value = $RegKey.GetValue($ValueName)
            $Data = [System.Text.Encoding]::Unicode.GetString($value)
            $Size = $Data.Count

        "DWord"        {
            $Type = $RegKey.GetValueKind($ValueName)
            $Data = $RegKey.GetValue($ValueName)
            $Size = 4

        "MultiString"  {
            $Type = $RegKey.GetValueKind($ValueName)
            $Data = ($RegKey.GetValue($ValueName) -join "`0") + "`0"
            $Size = $Data.Length

        "QWord"        {
            $Type = $RegKey.GetValueKind($ValueName)
            $Data = $RegKey.GetValue($ValueName)
            $Size = 8

        default        {
            $Type = $null
            $Data = $null
            $Size = 0

    return @{
        'Type' = $Type;
        'Size' = $Size;
        'Data' = $Data;

Function IsRegistryKey
    param (
        [Parameter(Mandatory = $true)]

        $Hive = [Microsoft.Win32.Registry]::LocalMachine

    $key = $Hive.OpenSubKey($Path)

    if ($key)
        if ($PSVersionTable.PSEdition -ieq 'Core')
        return $true
        return $false

Function Convert-StringToInt
    param (
    if ($ValueString.Length -le 4)
        [int32] $result = 0
    elseif ($ValueString.Length -le 8)
        [int64] $result = 0
        Fail -ErrorMessage $LocalizedData.InvalidIntegerSize

    for ($i = $ValueString.Length - 1 ; $i -ge 0 ; $i -= 1)
        $result = $result -shl 8
        $result = $result + ([int][char]$ValueString[$i])

    return $result

Export-ModuleMember -Function 'Parse-PolFile','Read-RegistryPolicies','Create-RegistrySettingsEntry','Create-GPRegistryPolicyFile','Append-RegistryPolicies','New-GPRegistryPolicy'